Poney-sur-mer, Audrey Lewka, FURIES 2023, photo Marie-Josée Lemieux


Under the artistic direction of Priscilla Guy, Sébastien Provencher and Karla Etienne, FURIES is a contemporary dance festival on a human scale, held in Marsoui in the Haute-Gaspésie region, which brings hard-hitting choreographic forms to the everyday landscape. FURIES is produced by Mandoline Hybride.



Land and water recognition statement

We wish to acknowledge that our activities and gatherings take place on the unceded lands and waters of the Mi’gmaq Nation. These traditional lands and waters are known to the Mi’gmaq community as the 7th district of the Mi’gma’gi, Gespe’gewa’gi: The Last Land. Visit Mandoline Hybride’s website to read the full statement and discover all our decolonization initiatives.

Our code of conduct

To ensure everyone’s safety, FURIES presents this code of conduct and invites you to read it. With this tool, FURIES hopes to encourage reflection, facilitate decision-making and prevent situations that could endanger the integrity of everyone at this event, which we hope will be festive and joyful!

If you have any doubts about how to deal with a problematic situation, contact one of the team members identified by a roundel as soon as possible, who will be able to intervene, help you or refer you to a qualified person. If you wish to communicate by e-mail, you can use the following confidential address: accueil@mandolinehybride.com.

Our eco-responsible commitments

FURIES is proud of its commitment to reducing its ecological footprint, through concrete choices in terms of suppliers, artist hosting and transportation.

  • No single-use plastic used in the bar or kitchen;
  • No printing of evening programs;
  • Around 400 home-cooked meals served to artists and crews on reusable crockery;
  • Print-free ticketing;
  • All organic waste is composted in the kitchen and recycled on site;
  • Artists’ and crews’ travel offset through the purchase of carbon credits;
  • Sale of second-hand, locally and ethically screen-printed camisoles, T-shirts and sweaters;
  • Choice of local suppliers (bar, meals, banner printing, etc.).


Programming process

As a festival on a human scale with limited resources, FURIES does not issue a call for projects. However, it is possible to send us an unsolicited submission, which we will consider within a reasonable timeframe, given that the artistic programming team only works 10 to 15 hours per month from September to May.

The FURIES artistic team has to make difficult choices from among a plethora of artistic proposals, mainly in dance, but also in music, performance, physical theater, storytelling and circus, as indicated by its mandate to discover and network disciplines through dance. Only around 15 works are selected each year. Many people submit projects to us, and we have to turn down the vast majority.

Since programming is planned about 10 months in advance, early fall is a good time to send in your projects for the next edition. To submit a project, please fill in this form.

Programming axes

In the context of FURIES, on the one hand, we tend to program completed works, as our risk-taking does not lie in accompanying creation for premieres (as is the case for Tangente and Agora de la danse), but rather in eclectic, uncompromising programming that favors revivals of works that have often toured little or not at all in Quebec and, a fortiori, in Gaspésie. So, with the exception of the carte blanche we give artists to create a work specifically for Marsoui (e.g. Louise Bédard at the pit de sable), we often favor works in finished format that we’ve seen in real life or on video.

On the other hand, we try to go with common favorites among the 3 members of the current artistic team (Sébastien Provencher, Karla Etienne and Priscilla Guy), whose aesthetic tastes are quite different.

Finally, there are a multitude of elements that we take into account, such as provenance, artistic maturity, type of choreographic practice, proposed aesthetics, solo or group pieces, representation of marginalized communities, a concern to contribute to the decolonization of dance dissemination, and so on. Programming must reflect a set of values that the festival upholds and that influence our choices.

Thus, the choice of whether or not to program a work at the festival depends not only on its artistic interest, but also on a complex balance between a multitude of elements that form the context of FURIES.

We look forward to hearing from you!

– Priscilla, Sébastien and Karla

- - -
Cd5Fe2P8O28 | PBE+U | relaxed

Cell and atoms, written as extended XYZ:
```
86
Lattice="6.727 0.008 0.000 -0.836 6.675 0.000 0.000 0.000 24.521" Properties=species:S:1:pos:R:3 pbc="T T T"
Cd 4.116 4.669 12.261
Cd 1.775 2.014 0.000
Cd 0.521 0.591 12.261
Cd 5.371 6.092 0.000
Cd 4.476 1.993 18.391
Cd 1.416 4.690 6.130
Cd 0.035 2.286 15.610
Cd 5.856 4.397 3.349
Cd 3.628 6.361 21.172
Cd 2.264 0.321 8.912
Fe 1.240 3.829 21.527
Fe 4.652 2.854 9.266
Fe 2.248 4.973 15.255
Fe 3.644 1.710 2.994
P 1.110 1.983 18.877
P 4.781 4.700 6.616
P 4.064 5.333 17.905
P 1.828 1.350 5.644
P 4.592 3.152 21.725
P 1.299 3.530 9.465
P 3.340 1.732 15.057
P 2.552 4.951 2.796
P 0.854 4.062 12.437
P 5.037 2.621 0.177
P 1.968 5.326 24.345
P 3.923 1.357 12.084
P 5.576 5.597 15.343
P 0.315 1.086 3.082
P 1.038 0.449 21.439
P 4.854 6.234 9.179
O 1.250 3.276 19.712
O 4.642 3.407 7.452
O 2.798 5.032 17.070
O 3.094 1.651 4.809
O 0.032 0.232 14.656
O 5.859 6.451 2.396
O 5.665 6.622 22.126
O 0.226 0.061 9.865
O -0.045 2.076 17.881
O 5.936 4.607 5.620
O 3.827 6.467 18.902
O 2.065 0.216 6.641
O 4.684 4.144 18.572
O 1.207 2.539 6.312
O 2.368 1.516 18.210
O 3.524 5.167 5.949
O 4.292 2.689 23.268
O 1.600 3.994 11.007
O 3.762 2.088 13.514
O 2.130 4.595 1.253
O 2.018 4.697 13.257
O 3.874 1.986 0.996
O 1.485 4.092 23.525
O 4.407 2.591 11.264
O 0.099 4.655 15.420
O 5.792 2.028 3.159
O 1.285 6.001 21.362
O 4.606 0.682 9.102
O 4.344 4.900 14.694
O 1.548 1.783 2.433
O 1.575 1.759 22.088
O 4.316 4.924 9.828
O 5.971 3.800 21.737
O -0.080 2.883 9.476
O 2.870 0.282 15.045
O 3.022 6.401 2.785
O 2.228 2.770 15.345
O 3.664 3.913 3.084
O 3.423 4.126 21.437
O 2.469 2.557 9.177
O -0.344 5.002 12.325
O 6.236 1.681 0.064
O 0.886 6.397 24.457
O 5.006 0.286 12.197
O 0.439 2.696 12.947
O 5.452 3.987 0.686
O 3.272 5.909 23.835
O 2.620 0.774 11.574
O 0.623 0.821 19.936
O 5.269 5.862 7.676
O 5.155 5.962 16.846
O 0.736 0.721 4.585
O 4.559 2.004 15.921
O 1.332 4.679 3.661
O 4.475 1.908 20.861
O 1.417 4.775 8.600
```

## Properties
Symmetry: C222_1 (20)
Uncorrected energy, eV per atom: -6.541

=====

Run one
# CdCu2Pt2

A relaxed CdCu2Pt2 crystal (PBE, Alexandria via LeMat-Bulk).

## Properties
Crystal system: orthorhombic
D(E_F): 3.76 states/eV/cell
Density: 13.4 g/cm³

Unit cell a=2.850 b=19.303 c=2.835 alpha=90.00 beta=90.00 gamma=90.00
Space group Cmmm (No. 65)
Unique sites:
Cd: 0.000 0.000 0.000 x2
Cu: 0.000 0.198 0.000 x4
Pt: 0.000 0.391 0.500 x4

---

Run two
# CdCu2Pt2

A relaxed CdCu2Pt2 crystal (PBE, Alexandria via LeMat-Bulk).

## Properties
Crystal system: tetragonal
D(E_F): 3.74 states/eV/cell
Density: 12.7 g/cm³

Unit cell a=3.615 b=3.615 c=12.642 alpha=90.00 beta=90.00 gamma=90.00
Space group I4/mmm (No. 139)
Unique sites:
Cd: 0.000 0.000 0.000 x2
Cu: 0.000 0.500 0.250 x4
Pt: 0.000 0.000 0.394 x4

---

Run three
# CdCu2Pt2

A relaxed CdCu2Pt2 crystal (PBE, Alexandria via LeMat-Bulk).

## Properties
Crystal system: tetragonal
D(E_F): 4.18 states/eV/cell
Density: 13.3 g/cm³
- - -

For more information on programming, contact Sébastien Provencher at sprovencher@furiesfestival.com.


FURIES 2022 souvenir capsule

FURIES 2021 souvenir capsule

FURIES 2020 souvenir capsule


For further information, please contact Marie-Charlotte Castonguay-Harvey, Mandoline Hybride’s Administrative Director and Co-General Manager, at gestion@mandolinehybride.com.